A New Series
• Inserted here: crystal structures:
........
# La2Al3Pd PBE optimized geometry
data_La2Al3Pd
_chemical_formula_sum 'La2 Al3 Pd1'
_symmetry_space_group_name_H-M 'P 1'
_symmetry_Int_Tables_number 1
_cell_length_a 5.736
_cell_length_b 5.736
_cell_length_c 5.628
_cell_angle_alpha 89.87
_cell_angle_beta 120.69
_cell_angle_gamma 120.11
loop_
_symmetry_equiv_pos_as_xyz
'x,y,z'
loop_
_atom_site_label
_atom_site_fract_x
_atom_site_fract_y
_atom_site_fract_z
Al1 0.000 0.000 0.500
Al2 0.500 0.500 0.500
Pd1 0.000 0.000 0.000
Al3 0.500 0.000 0.500
La1 0.757 0.378 0.135
La2 0.243 0.622 0.865
# **Total moment**: 0.00 μB/atom
# **Calculated formation energy**: -0.64 eV/atom
# **N(E_F)**: 0.56 states/eV per atom


Compound: Tl2Sn3Pb2
Source: the Alexandria database
Functional: PBE-GGA
Structure: relaxed

Properties
polymorph energy (0 for the lowest one): 0.26 kcal/mol of atoms

abc: 11.4175 4.6200 8.1260
angles: 90.00 103.16 90.00
Last column: nearest neighbours and their distance in Å.
Space group C2/m (No. 12)
Symmetry-distinct sites (fractional):
Tl  0.0650  0.0000  0.2113 x4  7 Sn 3.38-3.67, 1 Tl 3.42, 4 Pb 3.44-3.61
Sn  0.0000  0.5000  0.5000 x2  6 Pb 3.36-3.74, 4 Tl 3.49, 2 Sn 3.52
Sn  0.1514  0.5000  0.9288 x4  3 Sn 3.25-3.52, 4 Tl 3.38-3.55, 3 Pb 3.44-3.45
Pb  0.2121  0.0000  0.6461 x4  6 Sn 3.36-3.74, 4 Tl 3.44-3.61, 2 Pb 3.56


1.
The following is a DFT calculation (PBE) of a geometry-optimized SrNi2Pt structure.

Properties
* energy of formation: -0.066 eV/atom
* symmetry: I-42d, No. 122
* density of states at the Fermi level: 1.3054 states/eV per atom
* E_tot: -4.888 eV per atom
* magnetization: 0.0 μB per formula unit

```
8
Lattice="-2.260 2.260 8.568 2.260 -2.260 8.568 2.260 2.260 -8.568" Properties=species:S:1:pos:R:3 pbc="T T T"
Sr 0.000 0.000 0.000
Sr 0.000 2.260 4.284
Ni 1.130 -0.208 6.426
Ni 2.052 1.130 2.142
Ni 1.130 2.468 -2.142
Ni 0.208 1.130 10.711
Pt 2.260 0.000 4.284
Pt 0.000 0.000 8.568
```



2.
The following is a DFT calculation (PBE) of a geometry-optimized SrNi2Pt structure.

Properties
* energy of formation: 0.136 eV/atom
* symmetry: Imm2, No. 44
* density of states at the Fermi level: 1.4361 states/eV per atom
* E_tot: -4.685 eV per atom
* magnetization: 0.7 μB per formula unit

```
4
Lattice="-1.487 2.375 4.801 1.487 -2.375 4.801 1.487 2.375 -4.801" Properties=species:S:1:pos:R:3 pbc="T T T"
Sr 0.000 0.000 0.000
Ni 1.487 0.000 2.714
Ni 0.000 0.000 4.665
Pt 0.000 2.375 2.055
```



3.
The following is a DFT calculation (PBE) of a geometry-optimized Sr6NiPt structure.

Properties
* energy of formation: -0.280 eV/atom
* symmetry: P-31c, No. 163
* density of states at the Fermi level: 0.6578 states/eV per atom
* E_tot: -3.019 eV per atom
* magnetization: 0.0 μB per formula unit

```
16
Lattice="7.377 0.000 0.000 -3.688 6.389 0.000 0.000 0.000 14.209" Properties=species:S:1:pos:R:3 pbc="T T T"
Sr -1.163 2.126 1.762
Sr -2.428 4.319 5.342
Sr 1.163 2.126 5.342
Sr -1.266 6.332 1.762
Sr 2.423 0.056 8.867
Sr 1.260 2.070 12.446
Sr 2.428 4.319 1.762
Sr 1.266 6.332 5.342
........
I’ve decided that in order to make 2017 my bitch, I have to do what works for me. I’m not a DIYer or any sort of visionary. I just get shit done. Thus, I introduce you the Lazy Bitch guides that I’ll share as I randomly realize I have some wisdom to share. This post isn’t so much for lazy bitches, but for anyone who can relate to a grumpy lady who whines and wants to stop.
First, up: Resolutions.
Data records that have nothing to do with the article:
No. 1
Computed, not measured: a relaxed Ag2Bi2Pt crystal at the PBE level of DFT.

## Properties
The calculated volume is 227 Å³/cell. The calculation puts the total energy at -18.757 eV/f.u. As for the spin magnetization: 0.00 μB/cell. The calculated formation energy comes out at 3.5 kcal/mol of atoms.

a = 7.242 Å, b = 7.242 Å, c = 4.324 Å
α = 90.00°, β = 90.00°, γ = 90.00°
Sites, in units of the cell vectors:
Ag: 0.136 0.364 0.000
Ag: 0.364 0.864 0.000
Ag: 0.636 0.136 0.000
Ag: 0.864 0.636 0.000
Bi: 0.175 0.675 0.500
Bi: 0.325 0.175 0.500
Bi: 0.675 0.825 0.500
Bi: 0.825 0.325 0.500
Pt: 0.000 0.000 0.000
Pt: 0.500 0.500 0.000

=====

No. 2
Computed, not measured: a relaxed AgBiPt2 crystal at the PBE level of DFT.

## Properties
The calculated volume is 75 Å³/cell. The calculation puts the total energy at -18.711 eV/f.u. As for the spin magnetization: 0.00 μB/cell. The calculated formation energy comes out at 0.6 kcal/mol of atoms.

a = 4.219 Å, b = 4.219 Å, c = 4.232 Å
α = 90.00°, β = 90.00°, γ = 90.00°
Sites, in units of the cell vectors:
Ag: 0.000 0.000 0.000
Bi: 0.500 0.500 0.000
Pt: 0.000 0.500 0.500
Pt: 0.500 0.000 0.500

=====

No. 3
Computed, not measured: a relaxed Ag2BiPt crystal at the PBE level of DFT.

## Properties
The calculated volume is 173 Å³/cell. The calculation puts the total energy at -14.787 eV/f.u. As for the spin magnetization: 0.00 μB/cell. The calculated formation energy comes out at 4.8 kcal/mol of atoms.

a = 6.239 Å, b = 6.239 Å, c = 6.239 Å
α = 101.39°, β = 101.39°, γ = 127.22°
Sites, in units of the cell vectors:
Ag: 0.102 0.125 0.477
Ag: 0.375 0.898 0.023
Ag: 0.648 0.625 0.523
Ag: 0.875 0.352 0.977
Bi: 0.250 0.750 0.500
Bi: 0.500 0.500 0.000
Pt: 0.000 0.000 0.000
Pt: 0.750 0.250 0.500

=====

No. 4
Computed, not measured: a relaxed AgBi2Pt2 crystal at the PBE level of DFT.

## Properties
The calculated volume is 119 Å³/cell. The calculation puts the total energy at -22.706 eV/f.u. As for the spin magnetization: 0.00 μB/cell. The calculated formation energy comes out at -0.1 kcal/mol of atoms.

a = 8.291 Å, b = 8.291 Å, c = 8.291 Å
α = 152.84°, β = 152.84°, γ = 38.79°
Sites, in units of the cell vectors:
Ag: 0.000 0.000 0.000
Bi: 0.383 0.383 0.000
Bi: 0.617 0.617 0.000
Pt: 0.250 0.750 0.500
Pt: 0.750 0.250 0.500

=====

No. 5
Computed, not measured: a relaxed AgBiPt3 crystal at the PBE level of DFT.

## Properties
The calculated volume is 118 Å³/cell. The calculation puts the total energy at -19.512 eV/f.u. As for the spin magnetization: 0.00 μB/cell. The calculated formation energy comes out at 24.6 kcal/mol of atoms.

a = 4.904 Å, b = 4.904 Å, c = 4.904 Å
α = 90.00°, β = 90.00°, γ = 90.00°
Sites, in units of the cell vectors:
Ag: 0.000 0.000 0.000
Bi: 0.500 0.500 0.500
Pt: 0.000 0.000 0.500
Pt: 0.000 0.500 0.000
Pt: 0.500 0.000 0.000

=====

No. 6
Computed, not measured: a relaxed AgBi2Pt2 crystal at the PBE level of DFT.

## Properties
Back to the article:
2016 was a shit year. Good riddance. I usually hate resolutions, but I think it’s fair to set some time aside to be thoughtful about what you want to focus on to be happier and healthier. And I think you can do these whenever. Doesn’t have to be January 1.
Self Care
If you’re still feeling the pain and suffering of 2016, I suggest some therapy. I love therapy..and I love self-care. There’s no shame in making some time to talk to a third party person trained to listen to you. I had an angry, tearful moment a couple weeks ago that made me realize, “shit, I need some therapy.” So before you let shit ruin your 2017, try talking it out. I’m not about to journal my feelings and read books on my problems–let’s just take it straight to a trained professional. Shout out to Leslie at Therapy Today. You’ll be hearing from me soon.
Part of self-care for me is fitness and eating well. December was filled with stress eating garbage and too exhausted to work out the way I’d like to. If your motivation is lagging like mine, you need someone to help hold you accountable. It’s the perfect time (like everyone else thinks) to start anew with health and fitness.
Joining a gym or nutrition program can help guide you as you start to make some life changes. This worked incredibly well for me last year. I lost 15 pounds that creeped on from stress and pure laziness. The big thing that helped? Keeping a food journal. Easy stuff to just start doing. I’m starting the next FLEXcity Fitness nutrition program on January 7 to just get back in the habit of writing down what I eat and eating more balanced.
Know What Makes You Happy. And Do it.
I had this “aha” moment my senior year at MSU in a class a part of what I like to refer to as a hippie program, where you can learn what you want to learn and “everyone is a co-learner” including the professors. This class pissed me off. I hate talking about abstract ideas and sharing feelings. That class was my goddamn nightmare.
Then, we decided as a class to take the Meyer Briggs personality test. This was enlightening AF. And it validated how I felt. I realized it was okay to not like groups of people or sharing feelings. It’s okay that I need A LOT of alone time because it’s what re-energized me. And with age now, I’ve realized making too many social commitments is not fun for me and I vow to make even less this year to be a happier, healthier me.
I recommend taking this personality test and think about what you need to feel happy and energized.
Stop Bitching, Start Helping
2016 was a whiny year for me. A break up, weight gain/loss, paying out of pocket for my last couple master’s classes, TRUMP RUINING MY LIFE. A lot of things upset me this year, but there are so many ways to feel fulfilled. But you have to take some action.
This was a big lesson for me in 2016. I spent pretty much all of my free time freelancing–anything to make an extra buck, and if I wasn’t getting paid to do something, I wasn’t doing it. I want to keep my side hustles, but a better balance with getting involved in groups and organizations that support causes I care about might help me feel like a less angry person.
I’ve spent some time identifying local LGBT groups to get involved with like LAHR–I joined, now I just have to do something, continue to watch and donate to help people in Aleppo and staying involved in student leadership organizations like the National FFA Organization. But in true lazy bitch fashion, I won’t overextend myself and it will give me more time to more thoughtfully involved.
*A big thank you to Khalid of Eat Pomegranate for sending me the 2017 calendar and care package–which I absolutely love, and inspired this post.
Lovely post!
Love this post so much! You do you, girl. I totally agree on not over exerting ourself just for the sake of pleasing others or because you feel like it may be the right thing to do in the moment. I’m working on using the word “no” more often because even though I’m an extrovert, I tend to get overstimulated with too much activity. I appreciate this sound advice.
Have a wonderful New Year, my love!
Great post! And yes, TRUMP ruined all our lives. But we’re getting it back in 2017!
**Between two parts of the text: calculated crystals:**
/*
CdH9C3NCl3: relaxed, GGA-PBE.

Cell: 9.012 9.012 6.514 Å, 90.00 90.00 120.00°
Atoms (fractional coordinates):
C: 0.157 0.538 0.250
C: 0.462 0.620 0.250
C: 0.381 0.843 0.250
C: 0.619 0.157 0.750
C: 0.538 0.380 0.750
C: 0.843 0.462 0.750
Cd: 0.000 0.000 0.000
Cd: 0.000 0.000 0.500
Cl: 0.836 0.105 0.250
Cl: 0.269 0.164 0.250
Cl: 0.895 0.731 0.250
Cl: 0.105 0.269 0.750
Cl: 0.731 0.836 0.750
Cl: 0.164 0.895 0.750
H: 0.443 0.536 0.116
H: 0.093 0.557 0.116
H: 0.464 0.907 0.116
H: 0.141 0.409 0.250
H: 0.591 0.732 0.250
H: 0.268 0.859 0.250
H: 0.464 0.907 0.384
H: 0.093 0.557 0.384
H: 0.443 0.536 0.384
H: 0.557 0.464 0.616
H: 0.907 0.443 0.616
H: 0.536 0.093 0.616
H: 0.732 0.141 0.750
H: 0.409 0.268 0.750
H: 0.859 0.591 0.750
H: 0.536 0.093 0.884
H: 0.907 0.443 0.884
H: 0.557 0.464 0.884
N: 0.333 0.667 0.250
N: 0.667 0.333 0.750

Values from the calculation:
As for the symmetry: No. 176. The calculation puts the energy at -4.59 eV per atom. The volume is 13.476 A^3/atom.

=====

CdH8C2NCl3: relaxed, GGA-PBE.

Cell: 8.612 13.102 6.728 Å, 90.00 98.66 90.00°
Atoms (fractional coordinates):
C: 0.286 0.418 0.105
C: 0.859 0.891 0.106
C: 0.141 0.391 0.394
C: 0.714 0.918 0.395
C: 0.286 0.082 0.605
C: 0.859 0.609 0.606
C: 0.141 0.109 0.894
C: 0.714 0.582 0.895
Cd: 0.702 0.258 0.020
Cd: 0.298 0.758 0.480
Cd: 0.702 0.242 0.520
Cd: 0.298 0.742 0.980
Cl: 0.097 0.661 0.193
Cl: 0.490 0.167 0.214
Cl: 0.304 0.904 0.218
Cl: 0.696 0.404 0.282
Cl: 0.510 0.667 0.286
Cl: 0.903 0.161 0.307
Cl: 0.097 0.839 0.693
Cl: 0.490 0.333 0.714
Cl: 0.304 0.596 0.718
Cl: 0.696 0.096 0.782
Cl: 0.510 0.833 0.786
Cl: 0.903 0.339 0.807
H: 0.175 0.441 0.013
H: 0.142 0.087 0.052
H: 0.384 0.461 0.061
H: 0.621 0.920 0.089
H: 0.307 0.336 0.091
H: 0.846 0.808 0.119
H: 0.735 0.020 0.167
H: 0.968 0.916 0.197
H: 0.032 0.416 0.303
H: 0.265 0.520 0.333
H: 0.154 0.308 0.381
H: 0.693 0.836 0.409
H: 0.379 0.420 0.411
H: 0.616 0.961 0.439
H: 0.858 0.587 0.448
H: 0.825 0.941 0.487
H: 0.175 0.059 0.513
H: 0.142 0.413 0.552
H: 0.384 0.039 0.561
H: 0.621 0.580 0.589
H: 0.307 0.164 0.591
H: 0.846 0.692 0.619
H: 0.735 0.480 0.667
H: 0.968 0.584 0.697
H: 0.032 0.084 0.803
H: 0.265 0.980 0.833
H: 0.154 0.192 0.881
H: 0.693 0.664 0.909
H: 0.379 0.080 0.911
H: 0.616 0.539 0.939
H: 0.858 0.913 0.948
H: 0.825 0.559 0.987
N: 0.724 0.942 0.181
N: 0.276 0.442 0.319
N: 0.724 0.558 0.681
N: 0.276 0.058 0.819

Values from the calculation:
As for the symmetry: No. 14. The calculation puts the energy at -4.51 eV per atom. The volume is 12.507 A^3/atom.
*/
**Here the text continues:**
This was the most Muppet post ever on your blog and I loved it so much I teared up a little because I miss you! And I’m pmsing. But mostly the former. I fucking love your resolutions and I am stealing a few for myself. I CANT WAIT TO SEE YOU SOON!!
Awesome, yes! Thank you, and solidarity for the next 4 years. 😮
What a lovely post!! I have followed you for a while and wondered about the sometimes photographer. Hey we all go through things and it’s okay to be angry! At least you realized and caught yourself. But 2016 wasn’t so bad you got a house! 😊 As always love your style, it never disappoints. Give James a hug.